[File]
~~~
{"formula": "ScAlSb2", "functional": "PBE-GGA", "state": "optimized geometry", "cell": [[3.312, 0.000, 0.000], [-1.656, 2.869, 0.000], [0.000, 0.000, 31.674]], "species": ["Sc", "Sc", "Sc", "Al", "Al", "Al", "Sb", "Sb", "Sb", "Sb", "Sb", "Sb"], "fractional_positions": [[0.000, 0.000, 0.000], [0.333, 0.667, 0.667], [0.667, 0.333, 0.333], [0.000, 0.000, 0.740], [0.333, 0.667, 0.407], [0.667, 0.333, 0.074], [0.000, 0.000, 0.258], [0.000, 0.000, 0.478], [0.333, 0.667, 0.145], [0.333, 0.667, 0.925], [0.667, 0.333, 0.591], [0.667, 0.333, 0.812]], "n_ef_per_ev_atom": 1.01, "de_polymorph_mev_per_atom": 359, "raw_formation_energy_mev_per_atom": -56}


{"formula": "BaBr3", "functional": "PBE-GGA", "state": "optimized geometry", "cell": [[4.862, 0.000, 0.000], [0.000, 9.633, 0.000], [0.000, 0.000, 6.349]], "species": ["Ba", "Ba", "Br", "Br", "Br", "Br", "Br", "Br"], "fractional_positions": [[0.000, 0.000, 0.000], [0.500, 0.500, 0.500], [0.000, 0.302, 0.710], [0.000, 0.500, 0.147], [0.000, 0.698, 0.710], [0.500, 0.000, 0.647], [0.500, 0.198, 0.210], [0.500, 0.802, 0.210]], "n_ef_per_ev_atom": 0.86, "raw_formation_energy_mev_per_atom": -1420}


Below is a geometry-optimized CaNbRh structure, with properties calculated at the GGA-PBEsol level.

POSCAR file:
```
CaNbRh
1.0
-0.5281 -2.7197 1.5859
1.7490 -1.5905 -2.1452
10.0462 1.9726 6.7284
Nb Rh Ca
2 2 2
Cartesian
5.5116 -0.2258 4.6612
5.1451 0.0433 1.7876
7.8153 0.5676 3.5760
2.8413 -0.7501 2.8727
2.3023 -0.5149 -0.1163
8.3543 0.3324 6.5651
```

Values from the calculation:
As for the formation energy: -0.2594 eV/atom. As for the space group: P4/nmm, No. 129. The value obtained for the uncorrected energy is -43.7 eV/cell. As for the crystal system: tetragonal.


Sc2Al6PdPt: optimized geometry, PBE.

Cell lengths 5.225, 6.439, 6.441 Å; angles 90.95, 113.83, 113.92 degrees
Space group P-1 (No. 2)
Symmetry-distinct sites (fractional):
Sc (0.246, 0.254, 0.238) (multiplicity 2)
Al (0.189, 0.187, 0.690) (multiplicity 2)
Al (0.249, 0.571, 0.927) (multiplicity 2)
Al (0.313, 0.813, 0.311) (multiplicity 2)
Pd (0.000, 0.500, 0.500) (multiplicity 1)
Pt (0.500, 0.000, 0.000) (multiplicity 1)

Values from the calculation:
DFT total energy: -5.20 eV per atom
DFT formation energy: -0.560 eV per atom
Crystal system: triclinic


VASP calculation (PBE) on crystalline BaCeS2 at its relaxed geometry.

Calculated values
ΔE to the lowest computed polymorph, meV per atom: 0
Uncorrected formation energy, eV/atom: -1.98

The structure in CIF format:
```
data_BaCeS2
_symmetry_space_group_name_H-M 'R -3 m'
_symmetry_Int_Tables_number 166
_symmetry_space_group_name_Hall '-R 3 2"'
_cell_length_a 4.2280
_cell_length_b 4.2280
_cell_length_c 21.5637
_cell_angle_alpha 90.00
_cell_angle_beta 90.00
_cell_angle_gamma 120.00
loop_
_atom_site_label
_atom_site_fract_x
_atom_site_fract_y
_atom_site_fract_z
Ba1 0.0000 0.0000 0.0000
Ce1 0.0000 0.0000 0.5000
S1 0.0000 0.0000 0.2395
```


Record 1
! TaSb2Pb (PBE, optimized geometry); values from VASP
&SYSTEM
  ibrav = 0, nat = 4, ntyp = 3
/
ATOMIC_SPECIES
Sb 121.76 Sb.upf
Ta 180.95 Ta.upf
Pb 207.20 Pb.upf
ATOMIC_POSITIONS angstrom
Sb -3.6154 -5.5211 -10.3608
Sb -2.1397 -3.2675 -6.1317
Ta -3.4203 -1.5241 -1.8584
Pb -0.6916 -2.8542 -2.1017
CELL_PARAMETERS angstrom
-4.6470 -1.5994 -5.2541
0.8103 -4.2597 -5.7409
-0.2752 1.4808 7.0349
! Mass density   9.877 g/cm³
! Raw formation energy   0.329 eV/atom
! Fermi-level density of states   2.81 states/eV/f.u.


Record 2
! Ta3SbPb (PBE, optimized geometry); values from VASP
&SYSTEM
  ibrav = 0, nat = 5, ntyp = 3
/
ATOMIC_SPECIES
Ta 180.95 Ta.upf
Sb 121.76 Sb.upf
Pb 207.20 Pb.upf
ATOMIC_POSITIONS angstrom
Ta -1.2138 -1.6841 -1.4512
Ta 0.5729 -1.8346 1.6498
Ta -2.1481 0.4624 1.2600
Sb 0.0000 0.0000 0.0000
Pb -2.7890 -3.0563 1.4586
CELL_PARAMETERS angstrom
-2.4276 -3.3683 -2.9025
1.1458 -3.6691 3.2996
-4.2961 0.9247 2.5201
! Mass density   11.136 g/cm³
! Raw formation energy   1.721 eV/atom
~~~

[What to do]
Could you transcribe the notes further above from the line with "_cell_length_a 4.2280" to the end verbatim?

[Written answer]
_cell_length_a 4.2280
_cell_length_b 4.2280
_cell_length_c 21.5637
_cell_angle_alpha 90.00
_cell_angle_beta 90.00
_cell_angle_gamma 120.00
loop_
_atom_site_label
_atom_site_fract_x
_atom_site_fract_y
_atom_site_fract_z
Ba1 0.0000 0.0000 0.0000
Ce1 0.0000 0.0000 0.5000
S1 0.0000 0.0000 0.2395
```


Record 1
! TaSb2Pb (PBE, optimized geometry); values from VASP
&SYSTEM
  ibrav = 0, nat = 4, ntyp = 3
/
ATOMIC_SPECIES
Sb 121.76 Sb.upf
Ta 180.95 Ta.upf
Pb 207.20 Pb.upf
ATOMIC_POSITIONS angstrom
Sb -3.6154 -5.5211 -10.3608
Sb -2.1397 -3.2675 -6.1317
Ta -3.4203 -1.5241 -1.8584
Pb -0.6916 -2.8542 -2.1017
CELL_PARAMETERS angstrom
-4.6470 -1.5994 -5.2541
0.8103 -4.2597 -5.7409
-0.2752 1.4808 7.0349
! Mass density   9.877 g/cm³
! Raw formation energy   0.329 eV/atom
! Fermi-level density of states   2.81 states/eV/f.u.


Record 2
! Ta3SbPb (PBE, optimized geometry); values from VASP
&SYSTEM
  ibrav = 0, nat = 5, ntyp = 3
/
ATOMIC_SPECIES
Ta 180.95 Ta.upf
Sb 121.76 Sb.upf
Pb 207.20 Pb.upf
ATOMIC_POSITIONS angstrom
Ta -1.2138 -1.6841 -1.4512
Ta 0.5729 -1.8346 1.6498
Ta -2.1481 0.4624 1.2600
Sb 0.0000 0.0000 0.0000
Pb -2.7890 -3.0563 1.4586
CELL_PARAMETERS angstrom
-2.4276 -3.3683 -2.9025
1.1458 -3.6691 3.2996
-4.2961 0.9247 2.5201
! Mass density   11.136 g/cm³
! Raw formation energy   1.721 eV/atom